**Wanted:**
Echo everything underneath unchanged, please.

**Input:**
First-principles (PBE) data for a relaxed Ce2Sn5 crystal, as listed in the Materials Project database.

Properties
energy relative to the elements: -0.557 eV per atom
SG: Cmmm
total DFT energy (no corrections): -35.8 eV/f.u.
crystal system: orthorhombic

Cell and atoms, written as CIF:
```
data_Ce2Sn5
_chemical_formula_sum 'Ce4 Sn10'
_cell_length_a 17.531
_cell_length_b 17.531
_cell_length_c 4.664
_cell_angle_alpha 90.00
_cell_angle_beta 90.00
_cell_angle_gamma 164.80
_space_group_name_H-M_alt 'P 1'
_space_group_IT_number 1
loop_
_space_group_symop_operation_xyz
'x,y,z'
loop_
_atom_site_label
_atom_site_fract_x
_atom_site_fract_y
_atom_site_fract_z
_atom_site_occupancy
Sn1 0.137 0.863 0.000 1
Sn2 0.930 0.070 0.500 1
Sn3 0.500 0.500 0.500 1
Sn4 0.780 0.220 0.500 1
Sn5 0.863 0.137 0.000 1
Sn6 0.220 0.780 0.500 1
Sn7 0.000 0.000 0.000 1
Sn8 0.070 0.930 0.500 1
Sn9 0.362 0.638 0.500 1
Sn10 0.638 0.362 0.500 1
Ce1 0.432 0.568 0.000 1
Ce2 0.297 0.703 0.000 1
Ce3 0.568 0.432 0.000 1
Ce4 0.703 0.297 0.000 1
```

----------

RbTeF5 (meta-GGA r2SCAN, relaxed); theoretical density = 4.21 g cm⁻³; formation energy from the elements = -2562 meV/atom
1.0
13.7455 0.0000 0.0000
0.0000 6.2517 0.0000
0.0000 0.0000 11.3181
Rb Te F
8 8 40
direct
0.0962 0.2500 0.0097
0.0970 0.7500 0.3390
0.4030 0.2500 0.8390
0.4038 0.7500 0.5097
0.5962 0.2500 0.4903
0.5970 0.7500 0.1610
0.9030 0.2500 0.6610
0.9038 0.7500 0.9903
0.0796 0.7500 0.7164
0.2395 0.2500 0.5366
0.2605 0.7500 0.0366
0.4204 0.2500 0.2164
0.5796 0.7500 0.7836
0.7395 0.2500 0.9634
0.7605 0.7500 0.4634
0.9204 0.2500 0.2836
0.0263 0.5208 0.8212
0.0263 0.9792 0.8212
0.0541 0.2500 0.3259
0.0793 0.5349 0.5882
0.0793 0.9651 0.5882
0.1221 0.7500 0.0159
0.2204 0.5325 0.1547
0.2204 0.9675 0.1547
0.2444 0.5226 0.9149
0.2444 0.9774 0.9149
0.2556 0.0226 0.4149
0.2556 0.4774 0.4149
0.2796 0.0325 0.6547
0.2796 0.4675 0.6547
0.3779 0.2500 0.5159
0.4207 0.0349 0.0882
0.4207 0.4651 0.0882
0.4459 0.7500 0.8259
0.4737 0.0208 0.3212
0.4737 0.4792 0.3212
0.5263 0.5208 0.6788
0.5263 0.9792 0.6788
0.5541 0.2500 0.1741
0.5793 0.5349 0.9118
0.5793 0.9651 0.9118
0.6221 0.7500 0.4841
0.7204 0.5325 0.3453
0.7204 0.9675 0.3453
0.7444 0.5226 0.5851
0.7444 0.9774 0.5851
0.7556 0.0226 0.0851
0.7556 0.4774 0.0851
0.7796 0.0325 0.8453
0.7796 0.4675 0.8453
0.8779 0.2500 0.9841
0.9207 0.0349 0.4118
0.9207 0.4651 0.4118
0.9459 0.7500 0.6741
0.9737 0.0208 0.1788

**Result:**
First-principles (PBE) data for a relaxed Ce2Sn5 crystal, as listed in the Materials Project database.

Properties
energy relative to the elements: -0.557 eV per atom
SG: Cmmm
total DFT energy (no corrections): -35.8 eV/f.u.
crystal system: orthorhombic

Cell and atoms, written as CIF:
```
data_Ce2Sn5
_chemical_formula_sum 'Ce4 Sn10'
_cell_length_a 17.531
_cell_length_b 17.531
_cell_length_c 4.664
_cell_angle_alpha 90.00
_cell_angle_beta 90.00
_cell_angle_gamma 164.80
_space_group_name_H-M_alt 'P 1'
_space_group_IT_number 1
loop_
_space_group_symop_operation_xyz
'x,y,z'
loop_
_atom_site_label
_atom_site_fract_x
_atom_site_fract_y
_atom_site_fract_z
_atom_site_occupancy
Sn1 0.137 0.863 0.000 1
Sn2 0.930 0.070 0.500 1
Sn3 0.500 0.500 0.500 1
Sn4 0.780 0.220 0.500 1
Sn5 0.863 0.137 0.000 1
Sn6 0.220 0.780 0.500 1
Sn7 0.000 0.000 0.000 1
Sn8 0.070 0.930 0.500 1
Sn9 0.362 0.638 0.500 1
Sn10 0.638 0.362 0.500 1
Ce1 0.432 0.568 0.000 1
Ce2 0.297 0.703 0.000 1
Ce3 0.568 0.432 0.000 1
Ce4 0.703 0.297 0.000 1
```

----------

RbTeF5 (meta-GGA r2SCAN, relaxed); theoretical density = 4.21 g cm⁻³; formation energy from the elements = -2562 meV/atom
1.0
13.7455 0.0000 0.0000
0.0000 6.2517 0.0000
0.0000 0.0000 11.3181
Rb Te F
8 8 40
direct
0.0962 0.2500 0.0097
0.0970 0.7500 0.3390
0.4030 0.2500 0.8390
0.4038 0.7500 0.5097
0.5962 0.2500 0.4903
0.5970 0.7500 0.1610
0.9030 0.2500 0.6610
0.9038 0.7500 0.9903
0.0796 0.7500 0.7164
0.2395 0.2500 0.5366
0.2605 0.7500 0.0366
0.4204 0.2500 0.2164
0.5796 0.7500 0.7836
0.7395 0.2500 0.9634
0.7605 0.7500 0.4634
0.9204 0.2500 0.2836
0.0263 0.5208 0.8212
0.0263 0.9792 0.8212
0.0541 0.2500 0.3259
0.0793 0.5349 0.5882
0.0793 0.9651 0.5882
0.1221 0.7500 0.0159
0.2204 0.5325 0.1547
0.2204 0.9675 0.1547
0.2444 0.5226 0.9149
0.2444 0.9774 0.9149
0.2556 0.0226 0.4149
0.2556 0.4774 0.4149
0.2796 0.0325 0.6547
0.2796 0.4675 0.6547
0.3779 0.2500 0.5159
0.4207 0.0349 0.0882
0.4207 0.4651 0.0882
0.4459 0.7500 0.8259
0.4737 0.0208 0.3212
0.4737 0.4792 0.3212
0.5263 0.5208 0.6788
0.5263 0.9792 0.6788
0.5541 0.2500 0.1741
0.5793 0.5349 0.9118
0.5793 0.9651 0.9118
0.6221 0.7500 0.4841
0.7204 0.5325 0.3453
0.7204 0.9675 0.3453
0.7444 0.5226 0.5851
0.7444 0.9774 0.5851
0.7556 0.0226 0.0851
0.7556 0.4774 0.0851
0.7796 0.0325 0.8453
0.7796 0.4675 0.8453
0.8779 0.2500 0.9841
0.9207 0.0349 0.4118
0.9207 0.4651 0.4118
0.9459 0.7500 0.6741
0.9737 0.0208 0.1788